With its warm, humid climate, Florida makes a terrific home for termites of all kinds. There are four basic groups of termites present in Florida. Subterranean termites require a moist environment. Dampwood termites require constant moisture and prefer water-saturated wood. In the case of the drywood termite, as its name indicates, it requires very little moisture in the wood it infests. There is also a fourth group of termites called conehead termites. This exotic termite can be found in isolated parts of South Florida. It requires a moist environment similar to the subterranean termite but performs its foraging and nesting in a unique manner.
So how can termites get into your home? One way subterranean termites find their way into buildings is through foraging. Most of the members of a subterranean termite colony get the job of looking for food to feed themselves and their nestmates. They will travel hundreds of feet to find cellulose material (wood, cardboard, paper, etc.) to take back to their nest. During their travels, they may stumble upon the wood members of your house and begin feasting.
• Misplaced calculated crystals:
'''
## Al2Si2PbO8 (PBE)

Data for a relaxed structure of Al2Si2PbO8.

Values from the calculation:
The formation enthalpy at 0 K comes out at -3.10 eV/atom. As for the space-group type: C2/c, No. 15. For the polymorph energy (0 for the lowest one), the calculation gives 0.8 meV per atom.

Geometry as extended XYZ:
```
52
Lattice="-2.135 -7.991 -4.413 3.523 3.403 -7.994 7.659 -3.610 0.616" Properties=species:S:1:pos:R:3 pbc="T T T"
O 3.185 -0.329 -1.915
O 5.518 -3.918 -9.412
O 1.014 0.172 -3.518
O 3.528 -4.281 -2.378
O 2.641 -0.100 -8.364
O 6.707 -0.136 -7.806
O 0.674 -1.622 -1.173
O 6.406 -8.098 -3.427
O 2.354 -5.320 -7.352
O 10.339 -1.471 -6.316
O 5.378 -2.951 -7.033
O 3.636 -7.613 -6.262
O 7.091 -5.480 -3.891
O 5.646 -4.891 -0.741
O 5.411 -0.585 -5.529
O 3.401 -3.308 -11.050
O 1.505 -3.809 -3.887
O 7.542 -4.389 -7.904
O 8.373 -6.576 -10.618
O 2.340 -8.063 -3.985
O 8.924 -4.183 -5.352
O 5.242 -5.617 -7.248
O 3.866 -6.137 -10.496
O 3.805 -2.581 -4.543
O 0.123 -4.015 -6.439
O 6.693 -2.878 -4.439
O 5.862 -7.869 -9.876
O 3.669 -5.248 -4.758
O -1.292 -6.727 -5.474
O 1.956 -2.718 -7.900
O 8.033 -8.370 -8.272
O 5.181 -2.061 -1.294
Al 3.724 -5.851 -6.411
Al 7.599 -7.983 -9.949
Al 0.027 -3.496 -4.760
Al 1.448 -0.215 -1.841
Al 4.569 -4.569 -10.763
Al 4.478 -3.629 -1.027
Al 9.020 -4.703 -7.031
Al 5.323 -2.348 -5.380
Si 6.583 0.342 -6.235
Si 1.259 -4.149 -7.622
Si 7.788 -4.049 -4.169
Si 2.464 -8.540 -5.555
Si 5.922 -4.276 -7.841
Si 3.125 -3.922 -3.949
Si -1.358 -6.134 -3.941
Si 10.405 -2.064 -7.850
Pb 4.336 -6.910 -2.670
Pb 5.648 -8.917 -6.982
Pb 4.711 -1.288 -9.120
Pb 3.399 0.718 -4.809
```

----------

This record from Materials Project describes a relaxed Cu4S3N crystal. The functional is PBE-GGA.

abc: 3.879 3.879 9.118
angles: 90.00 90.00 90.00
Fractional coordinates of all 8 atoms:
Cu 0.500 0.000 0.833
Cu 0.000 0.500 0.833
Cu 0.500 0.000 0.167
Cu 0.000 0.500 0.167
S 0.000 0.000 0.000
S 0.500 0.500 0.707
S 0.500 0.500 0.293
N 0.000 0.000 0.500

Computed properties:
As for the symmetry: No. 123. As for the total moment: 0.35 μB per atom. The formation energy comes out at 0.318 eV per atom.

----------

Record 1
The following is a DFT calculation (PBE) of a relaxed LiAgF3 crystal.

Output
**Relative energy among the computed polymorphs**: 22 meV/atom
**Energy with MP2020 corrections**: -4.15 eV/atom
**E**: -3.877 eV per atom
**Energy of formation**: -2.06 eV per atom
**Size of the total moment**: 1.00 μB per formula unit

abc: 5.4252 5.7043 5.4655
angles: 63.51 62.00 85.85
Fractional positions:
Li1 0.6250 0.9357 0.7156
Li2 0.3750 0.0641 0.2845
F1 0.0616 0.2477 0.4950
F2 0.4086 0.2046 0.8653
F3 0.7029 0.2383 0.2439
F4 0.9384 0.7523 0.5049
F5 0.5915 0.7955 0.1347
F6 0.2972 0.7619 0.7560
Ag1 0.1617 0.4583 0.6957
Ag2 0.8382 0.5416 0.3044



Record 2
The following is a DFT calculation (PBE) of a relaxed LiAg2F6 crystal.

Output
**Relative energy among the computed polymorphs**: 28 meV/atom
**Energy with MP2020 corrections**: -3.87 eV/atom
'''
Another way termites could end up infesting your home is through a process called swarming. As the population of a termite colony grows over time, winged termites called swarmers may be sent out to start new colonies elsewhere. You may have even noticed these swarmers flying in large numbers at certain times of the year. Different varieties of termites will swarm at different times – so you could see swarms throughout the year, even in fall and winter. However, most termite species will swarm in spring and summer.
Before we discuss some signs of termite infestation, we should understand the types of termites that could damage your home:
**Calculated crystals, as found in the file:**
Ba3SrTa2O9 | PBE | relaxed

a b c (Å): 6.1508 6.1508 15.6139
angles (deg): 90.00 90.00 120.00
Positions (direct):
Ba 0.0000 0.0000 0.2500
Ta 0.3333 0.6667 0.6545
O 0.3560 0.1148 0.4019
O 0.9544 0.5249 0.2500
O 0.7588 0.6440 0.0981
O 0.8852 0.2412 0.4019
O 0.2412 0.3560 0.5981
O 0.5705 0.0456 0.2500
O 0.7588 0.6440 0.4019
O 0.4751 0.4295 0.2500
Ba 0.6667 0.3333 0.8808
Ta 0.6667 0.3333 0.1545
Ba 0.3333 0.6667 0.1192
Ta 0.3333 0.6667 0.8455
Ba 0.3333 0.6667 0.3808
Sr 0.0000 0.0000 0.0000
O 0.8852 0.2412 0.0981
Sr 0.0000 0.0000 0.5000
O 0.6440 0.8852 0.9019
Ba 0.0000 0.0000 0.7500
O 0.6440 0.8852 0.5981
O 0.0456 0.4751 0.7500
O 0.3560 0.1148 0.0981
O 0.4295 0.9544 0.7500
O 0.5249 0.5705 0.7500
Ta 0.6667 0.3333 0.3455
Ba 0.6667 0.3333 0.6192
O 0.1148 0.7588 0.9019
O 0.2412 0.3560 0.9019
O 0.1148 0.7588 0.5981

Results
volume = 17.052 Å³/atom
VASP energy = -8.040 eV per atom
excess energy over the best structure of this formula in the dataset = 0.000 eV per formula unit
SG = P6_3/m
total magnetization = 0.00 μB/cell



BaSrTa2O7 | PBE | relaxed

a b c (Å): 11.1826 11.1826 11.1826
angles (deg): 159.24 138.59 46.76
Positions (direct):
O 0.0796 0.0796 0.0000
O 0.7127 0.0000 0.7127
O 0.0106 0.8075 0.2032
O 0.9894 0.1925 0.7968
O 0.3397 0.5926 0.7472
O 0.6603 0.4074 0.2528
Sr 0.0000 0.5000 0.5000
Ta 0.1455 0.8973 0.2482
O 0.9204 0.9204 0.0000
O 0.6043 0.8075 0.7968
O 0.6127 0.1127 0.5000
Ba 0.2380 0.7380 0.5000
Ta 0.8545 0.1027 0.7518
Ta 0.3509 0.1027 0.2482
Sr 0.5000 0.5000 0.0000
O 0.1546 0.4074 0.7472
Ba 0.7620 0.2620 0.5000
Ta 0.6491 0.8973 0.7518
O 0.3957 0.1925 0.2032
O 0.2873 0.0000 0.2873
O 0.8454 0.5926 0.2528
O 0.3873 0.8873 0.5000

Results
volume = 14.868 Å³/atom
VASP energy = -8.685 eV per atom
SG = Immm
total magnetization = 0.00 μB/cell



Ba3SrTa2O9 | PBE | relaxed

a b c (Å): 6.0219 6.0219 7.6768
angles (deg): 90.00 90.00 120.00
Positions (direct):
O 0.6443 0.8221 0.2993
O 0.8221 0.6443 0.7007
O 0.3557 0.1779 0.7007
O 0.1779 0.8221 0.2993
Ba 0.6667 0.3333 0.3050
Ba 0.0000 0.0000 0.0000
Ta 0.3333 0.6667 0.1656
O 0.8221 0.1779 0.7007
O 0.1779 0.3557 0.2993
O 0.0000 0.5000 0.0000
Sr 0.0000 0.0000 0.5000
Ba 0.3333 0.6667 0.6950
O 0.5000 0.0000 0.0000
O 0.5000 0.5000 0.0000
Ta 0.6667 0.3333 0.8344

Results
volume = 16.073 Å³/atom
VASP energy = -8.025 eV per atom
excess energy over the best structure of this formula in the dataset = 0.223 eV per formula unit
SG = P-3m1
total magnetization = 0.00 μB/cell



Ba3SrTa2O9 | PBE | relaxed

a b c (Å): 6.0954 6.0954 15.9901
angles (deg): 90.00 90.00 120.00
Positions (direct):
O 0.4820 0.9640 0.2500
Ta 0.6667 0.3333 0.6563
O 0.1736 0.3471 0.1015
Sr 0.0000 0.0000 0.5000
Ta 0.3333 0.6667 0.1563
O 0.0360 0.5180 0.2500
O 0.8264 0.6529 0.6015
Ba 0.0000 0.0000 0.7500
O 0.3471 0.1736 0.8985
O 0.1736 0.8264 0.3985
O 0.5180 0.0360 0.7500
O 0.1736 0.3471 0.3985
Ba 0.6667 0.3333 0.1234
O 0.4820 0.5180 0.2500
O 0.8264 0.1736 0.8985
O 0.6529 0.8264 0.1015
Sr 0.0000 0.0000 0.0000
O 0.6529 0.8264 0.3985
**Here the entry continues:**
Subterranean termites – Subterranean termites (both native and Formosan) are very common in Florida. These pests live in the soil and will create mud tubes as they forage for food above the soil surface. The food might be a fallen log, scrap wood, or your home! As a result, it’s important to make sure you’re protected from these hungry pests before they cause damage to your biggest investment. Another way subterranean termites could establish themselves in your home is during their swarming season. Native subterranean termites typically swarm in the spring on humid afternoons. The Formosan subterranean termite (an introduced species) starts swarming in the spring and may continue to swarm into the summer. Their flights consist of tens of thousands of swarmers and tend to occur in the evening.
Drywood termites – Homes are also at risk of drywood termite attack. Unlike their subterranean counterparts, drywood termites need no contact with soil to survive. They can inhabit sound wood and have even been known to nest in wooden furniture! These termites generally swarm during summer evenings. Preventive treatments are available to protect your home from these pests; the alternative is waiting until you have an infestation and possibly having to fumigate your home!
Dampwood termites – Dampwood termites are not considered significant structural pests. They require such a high amount of constant moisture that structural infestations of these termites are rare.
Conehead termites – Conehead termites were first discovered in the early 2000s in Broward County. The Florida Department of Agriculture and Consumer Services has been involved in an eradication program to keep this pest from spreading to other parts of Florida. Because of its limited area of known activity in south Florida, it is not yet considered a statewide pest.
Signs of Termites
Unrelated to this piece: calculated crystals:
Record 1
Entry from the Materials Project database: an optimized crystal structure of Li2CuBiO4 (PBE).

The value obtained for the total magnetic moment is 0.0058 μB per atom. The calculation puts the calculated formation energy at -12.34 eV/f.u.

extended XYZ file:
```
8
Lattice="-2.1753 2.1753 4.6718 2.1753 -2.1753 4.6718 2.1753 2.1753 -4.6718" Properties=species:S:1:pos:R:3 pbc="T T T"
Li 2.1753 0.0000 2.3359
Li 0.0000 0.0000 4.6718
Cu 0.0000 2.1753 2.3359
Bi 0.0000 0.0000 0.0000
O 0.0000 2.1753 4.6526
O 0.0000 0.0000 2.2267
O 0.0000 0.0000 7.1170
O 0.0000 2.1753 0.0193
```


Record 2
Entry from the Materials Project database: an optimized crystal structure of K2Na4Ca5Si12O34 (PBE).

The value obtained for the total magnetic moment is 0.0702 μB per atom. The calculation puts the calculated formation energy at -169.79 eV/f.u.

extended XYZ file:
```
57
Lattice="3.5784 -1.2140 -6.4256 2.3861 -7.1785 7.0090 -11.1474 -2.6107 -5.7146" Properties=species:S:1:pos:R:3 pbc="T T T"
K -0.9248 -7.2348 -3.4720
K -4.2666 -3.7815 -1.6616
Na -0.0008 -0.0231 0.0039
Na 1.7601 -0.6228 -3.2260
Na 2.0406 -4.0254 1.8969
Na -3.9654 -2.0154 -6.1514
Ca -7.2441 -7.0016 -7.0352
Ca -7.4709 -7.2068 -0.6421
Ca -5.6860 -7.8124 -3.8472
Ca 2.2816 -3.8220 -4.5151
Ca 0.4742 -3.2088 -1.2696
Si -4.3368 -5.1931 -8.2487
Si -6.3982 -4.4938 -4.5472
Si -0.8879 -5.8597 3.1498
Si 1.2118 -6.5721 -0.6205
Si -3.5853 -5.3874 -5.3026
Si -1.5929 -5.6443 0.1793
Si 0.1876 -1.9075 -6.3783
Si -1.8973 -1.2002 -2.6345
Si -5.3648 -9.1092 1.2542
Si -3.2787 -9.8169 -2.4918
Si -1.2108 -3.6584 -4.3069
Si -3.9651 -7.3599 -0.8176
O -5.1325 -6.5680 -8.0679
O -6.8925 -5.9709 -4.9075
O -0.1810 -4.4211 3.1080
O 1.7832 -5.0875 -0.4192
O -3.4482 -4.8356 -6.8688
O -4.7213 -4.4037 -4.5829
O -1.7296 -6.1893 1.7403
O -0.4600 -6.6200 -0.5395
O -6.7633 -4.0173 -3.0074
O 1.4919 -7.1752 -2.1374
O -5.2967 -3.8842 -8.4862
O -6.9075 -3.3376 -5.5936
O 0.1367 -7.1193 3.3730
O 1.7519 -7.6673 0.4726
O -2.1518 -5.0002 -4.5775
O -3.0316 -6.0195 -0.5510
O 0.0992 -4.1040 -3.4932
O -1.3272 -4.0744 0.0307
O -3.8375 -6.9617 -5.1457
O -5.2789 -6.9324 -1.6300
O -0.9393 -3.0233 -5.8181
O -2.2158 -2.5903 -3.5261
O -4.2235 -8.0060 0.6919
O -2.9562 -8.4359 -1.5837
O 1.4685 -1.8416 -5.4340
O -0.4149 -1.2026 -2.0519
O -6.6470 -9.1735 0.3147
O -4.7575 -9.8146 -3.0782
O 2.4925 -2.8323 -2.4007
O 0.7548 -2.3276 0.8601
O -5.9475 -8.6976 -5.9927
O -7.6359 -8.2306 -2.6973
O -3.0885 -1.2709 -1.4798
O -2.0786 -9.7521 -3.6390
```


Record 3
Entry from the Materials Project database: an optimized crystal structure of HfP2O7 (PBE).

The calculation puts the calculated formation energy at -31.65 eV/f.u.

extended XYZ file:
```
20
Lattice="-1.9885 1.6989 4.3005 -2.5980 -6.5778 -1.0736 6.8140 -3.1128 3.8891" Properties=species:S:1:pos:R:3 pbc="T T T"
Hf 0.0000 0.0000 0.0000
Hf 1.1138 -3.9958 3.5579
P 3.7958 -2.3704 5.0768
P 2.5156 -6.8827 2.4043
P -0.2881 -1.1090 4.7116
P -1.5682 -5.6212 2.0391
O 5.0325 -3.2705 4.9392
O 3.8067 -7.6552 2.7159
Back to the piece:
If you have a termite problem in your home, you may notice this during the spring and summer months. As mentioned previously, this is the time of year many species of termites in Florida swarm to start new colonies. If your home is infested, you might find large numbers of termite wings from swarmers inside your home on windowsills, in light fixtures, etc. Many people mistake flying ants for termites, but the two have different characteristics when inspected closely.
In addition to swarming termites, subterranean and drywood termites also show more subtle signs of their activity.
Subterranean termites will usually leave a sign of their activity: the termite mud tube or dirt build-up in places where dirt should not be (such as inside walls, baseboards, window sills, etc.). Since these termites tunnel in and feast on wood, one way to check for subterranean termites is to look for buckling wood, warped wood, hollow-sounding wood, or even areas that appear to have water damage. Probing these areas may cause you to break into their tunnel, exposing dirt material and possibly the termites themselves.
Drywood termites will colonize directly inside wooden members, such as inside of walls or within the furniture. One of the first signs of a drywood termite infestation is the presence of their tiny fecal pellets. Drywood termites are better housekeepers than their subterranean cousins. In order to keep their termite tunnels clean inside the wood, they will create “kick out” holes to discard their fecal pellets. If you see small holes in furniture or walls, probe the area and knock lightly to see if fecal pellets fall out of the hole. Be on the lookout for additional pellets dropping from the hole after you’ve cleaned them up. If fecal pellets do reappear, you may have an active colony, especially if your home has never been fumigated.
Removing an Infestation
With termites, an ounce of prevention is definitely worth more than a pound of cure. The easiest way to avoid a termite problem is to protect your home from termites before you have a problem with them. Contact Florida Pest Control today to schedule a termite inspection to safeguard your home against termites.